Contents
<<<
Record 1
A geometry-optimized LiEu2In structure. Source: Alexandria via LeMat-Bulk, functional PBE.

It has space group R-3m (No. 166, hexagonal axes), with a = 3.7661 Å, b = 3.7661 Å, c = 32.5758 Å, α = 90.00°, β = 90.00° and γ = 120.00°. The asymmetric unit holds Li at (0.0000, 0.0000, 0.0000), Eu at (0.0000, 0.0000, 0.2462) and In at (0.0000, 0.0000, 0.5000).

The formation energy is -0.075 eV/atom. The total energy is -76.5 eV for the cell shown. The total magnetic moment is 14.8 μB per formula unit.

---

Record 2
A geometry-optimized LiEuIn2 structure. Source: Alexandria via LeMat-Bulk, functional PBE.

It has space group P4/mmm (No. 123), with a = 3.5847 Å, b = 3.5847 Å, c = 7.7099 Å, α = 90.00°, β = 90.00° and γ = 90.00°. The asymmetric unit holds Li at (0.0000, 0.0000, 0.0000), Eu at (0.0000, 0.0000, 0.5000) and In at (0.5000, 0.5000, 0.2007).

The formation energy is -0.384 eV/atom. The total energy is -19.2 eV for the cell shown. The total magnetic moment is 7.0 μB per formula unit.

---

Record 3
A geometry-optimized LiEuIn2 structure. Source: Alexandria via LeMat-Bulk, functional PBE.

It has space group P4/mmm (No. 123), with a = 5.2182 Å, b = 5.2182 Å, c = 3.9235 Å, α = 90.00°, β = 90.00° and γ = 90.00°. The asymmetric unit holds Li at (0.0000, 0.0000, 0.0000), Eu at (0.5000, 0.5000, 0.0000) and In at (0.0000, 0.5000, 0.5000).

The formation energy is -0.305 eV/atom. The total energy is -18.9 eV for the cell shown. The total magnetic moment is 7.1 μB per formula unit.

---

Record 4
A geometry-optimized LiEuIn3 structure. Source: Alexandria via LeMat-Bulk, functional PBE.

It has space group Pm-3m (No. 221), with a = 5.0602 Å, b = 5.0602 Å, c = 5.0602 Å, α = 90.00°, β = 90.00° and γ = 90.00°. The asymmetric unit holds Li at (0.0000, 0.0000, 0.0000), Eu at (0.5000, 0.5000, 0.5000) and In at (0.0000, 0.0000, 0.5000).

The formation energy is -0.187 eV/atom. The total energy is -21.3 eV for the cell shown. The total magnetic moment is 7.0 μB per formula unit.

---

Record 5
A geometry-optimized LiEu2In structure. Source: Alexandria via LeMat-Bulk, functional PBE.

It has space group P4/mmm (No. 123), with a = 5.5837 Å, b = 5.5837 Å, c = 3.9732 Å, α = 90.00°, β = 90.00° and γ = 90.00°. The asymmetric unit holds Li at (0.0000, 0.0000, 0.0000), Eu at (0.0000, 0.5000, 0.5000) and In at (0.5000, 0.5000, 0.0000).

The formation energy is -0.240 eV/atom. The total energy is -26.2 eV for the cell shown. The total magnetic moment is 14.6 μB per formula unit.

---

Record 6
A geometry-optimized LiEuLuIn structure. Source: Alexandria via LeMat-Bulk, functional PBE.

It has space group F-43m (No. 216), with a = 7.5916 Å, b = 7.5916 Å, c = 7.5916 Å, α = 90.00°, β = 90.00° and γ = 90.00°. The asymmetric unit holds Li at (0.0000, 0.0000, 0.0000), Eu at (0.2500, 0.2500, 0.2500), Lu at (0.2500, 0.2500, 0.7500) and In at (0.0000, 0.0000, 0.5000).

The formation energy is -0.205 eV/atom. The total energy is -81.1 eV for the cell shown. The total magnetic moment is 7.2 μB per formula unit.

---

Record 7
A geometry-optimized LiEuMgIn structure. Source: Alexandria via LeMat-Bulk, functional PBE.

It has space group F-43m (No. 216), with a = 7.2653 Å, b = 7.2653 Å, c = 7.2653 Å, α = 90.00°, β = 90.00° and γ = 90.00°. The asymmetric unit holds Li at (0.0000, 0.0000, 0.0000), Eu at (0.2500, 0.2500, 0.7500), Mg at (0.0000, 0.0000, 0.5000) and In at (0.2500, 0.2500, 0.2500).

The formation energy is -0.257 eV/atom. The total energy is -70.2 eV for the cell shown. The total magnetic moment is 7.1 μB per formula unit.

---

Record 8
A geometry-optimized NaLiEuIn structure. Source: Alexandria via LeMat-Bulk, functional PBE.

It has space group F-43m (No. 216), with a = 7.6782 Å, b = 7.6782 Å, c = 7.6782 Å, α = 90.00°, β = 90.00° and γ = 90.00°. The asymmetric unit holds Na at (0.0000, 0.0000, 0.0000), Li at (0.2500, 0.2500, 0.2500), Eu at (0.2500, 0.2500, 0.7500) and In at (0.0000, 0.0000, 0.5000).
>>>
Assignment
Please transcribe the lines above up to the one that holds "5.2182 Å,", that line included.
Here it is
Record 1
A geometry-optimized LiEu2In structure. Source: Alexandria via LeMat-Bulk, functional PBE.

It has space group R-3m (No. 166, hexagonal axes), with a = 3.7661 Å, b = 3.7661 Å, c = 32.5758 Å, α = 90.00°, β = 90.00° and γ = 120.00°. The asymmetric unit holds Li at (0.0000, 0.0000, 0.0000), Eu at (0.0000, 0.0000, 0.2462) and In at (0.0000, 0.0000, 0.5000).

The formation energy is -0.075 eV/atom. The total energy is -76.5 eV for the cell shown. The total magnetic moment is 14.8 μB per formula unit.

---

Record 2
A geometry-optimized LiEuIn2 structure. Source: Alexandria via LeMat-Bulk, functional PBE.

It has space group P4/mmm (No. 123), with a = 3.5847 Å, b = 3.5847 Å, c = 7.7099 Å, α = 90.00°, β = 90.00° and γ = 90.00°. The asymmetric unit holds Li at (0.0000, 0.0000, 0.0000), Eu at (0.0000, 0.0000, 0.5000) and In at (0.5000, 0.5000, 0.2007).

The formation energy is -0.384 eV/atom. The total energy is -19.2 eV for the cell shown. The total magnetic moment is 7.0 μB per formula unit.

---

Record 3
A geometry-optimized LiEuIn2 structure. Source: Alexandria via LeMat-Bulk, functional PBE.

It has space group P4/mmm (No. 123), with a = 5.2182 Å, b = 5.2182 Å, c = 3.9235 Å, α = 90.00°, β = 90.00° and γ = 90.00°. The asymmetric unit holds Li at (0.0000, 0.0000, 0.0000), Eu at (0.5000, 0.5000, 0.0000) and In at (0.0000, 0.5000, 0.5000).